# Wanted
Could you find the line below that holds "energy_ev=-9268.225 homo_lumo_gap_ev=8.4", then give back that line and all lines after it there?
# Given
____________
13
Properties=species:S:1:pos:R:3:forces:R:3:lowdin_charge:R:1 method="wB97M-V/def2-TZVPD" energy_ev=-9268.225 homo_lumo_gap_ev=8.47
C -2.1003 -0.3111 -0.0078 -0.3009 -0.5634 1.5649 -0.533
C 1.9925 1.5023 0.4067 -1.8537 -0.4637 0.4846 0.023
C -1.0616 -0.6189 1.0902 0.2605 -0.4411 2.9779 0.019
C -0.1540 0.1421 0.1314 3.0439 1.4064 2.3280 -0.317
N 0.9579 0.7949 0.2574 0.1524 -0.5813 -0.4480 -0.012
N -1.2208 0.4128 -0.6851 2.4643 2.6451 -3.3281 0.165
O -3.2244 -0.5496 -0.2269 -2.5987 -0.7324 -0.2058 0.130
H 2.9904 1.1802 0.0874 -0.4137 -0.4676 -0.3994 0.002
H 2.7933 -1.2175 -1.7027 -1.0865 1.1459 0.6226 0.042
H -1.2544 -0.0576 2.1511 0.3666 -1.1575 -2.7473 0.173
H -0.8515 -1.7013 1.3485 -0.2007 1.2748 -0.5805 0.124
H 2.2831 -0.6814 -1.4046 1.0985 -1.1965 -0.6528 0.000
H -1.1501 1.1051 -1.4457 -0.9321 -0.8688 0.3839 0.186


10
Properties=species:S:1:pos:R:3:forces:R:3:lowdin_charge:R:1 method="wB97M-V/def2-TZVPD" energy_ev=-10904.793 homo_lumo_gap_ev=9.00
C 1.1377 -0.2702 -0.0129 -0.7120 1.0272 -0.0621 -0.333
C 0.6707 1.0043 -0.0238 1.5564 -0.2047 0.3777 -0.038
C -1.1338 -0.3784 -0.0125 0.6302 -1.3058 0.2882 -0.533
H 1.2056 1.9360 0.1424 -0.1864 -0.4067 -0.2999 0.122
H -1.4329 1.6363 0.0430 0.9035 -0.2310 -0.0977 0.172
H 0.0665 -2.1487 -0.1446 0.0721 0.6657 0.1206 0.171
N -0.7106 0.9170 -0.0340 -1.6346 0.0883 0.1061 0.099
N 0.0655 -1.1428 0.0202 -0.3335 0.1607 -0.3119 0.186
O -2.2535 -0.8409 0.0168 -0.1549 0.2680 -0.1625 0.045
F 2.3847 -0.7126 0.0053 -0.1409 -0.0617 0.0415 0.109


24
Properties=species:S:1:pos:R:3:forces:R:3:lowdin_charge:R:1 method="wB97M-V/def2-TZVPD" energy_ev=-16637.508 homo_lumo_gap_ev=9.90
H -0.8351 -0.3283 -0.7754 1.0725 -0.3470 1.2990 0.077
H -0.0229 -1.5262 -1.0218 0.4767 -0.1984 0.2585 0.026
H -0.5061 -2.7471 1.0279 -0.0960 -0.2178 -0.1536 -0.005
H -0.5910 -2.4740 2.4813 -0.1481 -1.6002 -0.8661 0.061
H -3.2322 -0.2968 3.6120 1.9153 1.8147 -1.1956 0.122
H -2.2098 0.6770 4.1475 0.4699 0.3948 0.5059 0.034
H -1.3093 2.1031 1.1228 -0.1047 0.2883 0.0108 0.020
H -2.6179 1.7308 1.9882 2.0158 -0.8330 -1.9748 0.069
H -0.5336 -2.5127 -3.1609 2.2398 2.3082 1.8605 -0.046
H -1.8320 -2.5120 -3.9246 1.1296 -0.8444 0.4197 0.072
H 1.2335 2.3329 -1.8639 0.2586 0.0326 0.3479 0.015
H 0.8866 2.1950 -3.3423 0.0879 -0.1393 0.1947 0.038
H 4.0948 2.3988 -0.2869 -0.3739 -0.1364 -0.3601 0.056
H 3.4212 1.4176 -1.2441 0.2597 -1.3593 -1.0768 0.007
H 2.4625 -0.2086 0.5135 -0.1875 0.1055 -0.2892 0.059
H 1.5293 0.7125 1.1657 -1.1234 0.2497 1.3052 0.019
O -0.1193 -0.8645 -0.3237 -1.9257 0.0950 -1.5326 -0.073
O -0.6234 -3.2532 1.8462 0.1963 1.9920 1.0112 -0.095
O -2.5138 0.3855 3.2913 -2.8207 -2.8398 1.9554 -0.104
O -1.9651 1.4168 1.2601 -1.4248 1.1386 0.6441 -0.123
O -1.0640 -3.0695 -3.6344 -3.3574 -1.4499 -2.3412 -0.027
O 1.1269 1.6815 -2.5592 -0.3184 -0.0340 -0.6075 -0.062
O 3.2445 2.1277 -0.6700 1.3483 3.2051 0.4153 -0.074
O 1.9764 0.6135 0.3508 0.4102 -1.6248 0.1693 -0.064


34
Properties=species:S:1:pos:R:3:forces:R:3:lowdin_charge:R:1 method="wB97M-V/def2-TZVPD" energy_ev=-25018.964 homo_lumo_gap_ev=9.35
C 3.5379 -1.3874 -1.2999 -0.7986 -1.0878 -0.6987 -0.005
C 2.9885 -0.0915 -1.3267 -0.0037 -4.0881 0.0932 0.008
C 1.4259 -2.3300 -1.9383 1.6493 -1.6260 -1.2683 -0.124
C 2.7644 -2.5203 -1.6436 0.9192 -0.9369 1.4802 -0.233
C 1.6331 -0.1522 -1.4359 -1.5053 2.9216 -0.7443 -0.378
C 0.2790 0.9963 0.3487 -2.9365 2.3206 -3.9296 -0.109
C 0.8005 1.0826 -1.1655 0.3532 -0.0070 1.6479 -0.395
C -1.2750 1.4767 0.2277 0.6454 -4.4887 0.0589 -0.299
C 3.3714 -3.9833 -1.6346 3.4459 3.2886 -1.0238 -0.047
C -1.4072 0.8831 2.6840 0.9149 1.0148 2.0914 -0.109
C -3.4628 1.4362 1.4196 -1.8370 1.6194 -1.4102 -0.098
C -2.1006 0.8193 1.3680 -0.2807 0.2049 -0.7807 -0.467
N 0.8901 -1.1531 -1.8610 -1.1656 -0.2677 0.6025 0.076
N -1.8684 0.9868 -1.1234 -0.2879 -0.1952 2.3921 -0.289
P -0.6954 1.0738 -2.3194 0.5666 1.4864 -0.2932 0.865
H 4.5113 -1.7151 -1.0438 1.3509 0.7320 0.1378 0.095
H 3.4849 0.8116 -1.2991 1.1565 1.5898 0.5692 0.091
____________
# Written answer
Properties=species:S:1:pos:R:3:forces:R:3:lowdin_charge:R:1 method="wB97M-V/def2-TZVPD" energy_ev=-9268.225 homo_lumo_gap_ev=8.47
C -2.1003 -0.3111 -0.0078 -0.3009 -0.5634 1.5649 -0.533
C 1.9925 1.5023 0.4067 -1.8537 -0.4637 0.4846 0.023
C -1.0616 -0.6189 1.0902 0.2605 -0.4411 2.9779 0.019
C -0.1540 0.1421 0.1314 3.0439 1.4064 2.3280 -0.317
N 0.9579 0.7949 0.2574 0.1524 -0.5813 -0.4480 -0.012
N -1.2208 0.4128 -0.6851 2.4643 2.6451 -3.3281 0.165
O -3.2244 -0.5496 -0.2269 -2.5987 -0.7324 -0.2058 0.130
H 2.9904 1.1802 0.0874 -0.4137 -0.4676 -0.3994 0.002
H 2.7933 -1.2175 -1.7027 -1.0865 1.1459 0.6226 0.042
H -1.2544 -0.0576 2.1511 0.3666 -1.1575 -2.7473 0.173
H -0.8515 -1.7013 1.3485 -0.2007 1.2748 -0.5805 0.124
H 2.2831 -0.6814 -1.4046 1.0985 -1.1965 -0.6528 0.000
H -1.1501 1.1051 -1.4457 -0.9321 -0.8688 0.3839 0.186


10
Properties=species:S:1:pos:R:3:forces:R:3:lowdin_charge:R:1 method="wB97M-V/def2-TZVPD" energy_ev=-10904.793 homo_lumo_gap_ev=9.00
C 1.1377 -0.2702 -0.0129 -0.7120 1.0272 -0.0621 -0.333
C 0.6707 1.0043 -0.0238 1.5564 -0.2047 0.3777 -0.038
C -1.1338 -0.3784 -0.0125 0.6302 -1.3058 0.2882 -0.533
H 1.2056 1.9360 0.1424 -0.1864 -0.4067 -0.2999 0.122
H -1.4329 1.6363 0.0430 0.9035 -0.2310 -0.0977 0.172
H 0.0665 -2.1487 -0.1446 0.0721 0.6657 0.1206 0.171
N -0.7106 0.9170 -0.0340 -1.6346 0.0883 0.1061 0.099
N 0.0655 -1.1428 0.0202 -0.3335 0.1607 -0.3119 0.186
O -2.2535 -0.8409 0.0168 -0.1549 0.2680 -0.1625 0.045
F 2.3847 -0.7126 0.0053 -0.1409 -0.0617 0.0415 0.109


24
Properties=species:S:1:pos:R:3:forces:R:3:lowdin_charge:R:1 method="wB97M-V/def2-TZVPD" energy_ev=-16637.508 homo_lumo_gap_ev=9.90
H -0.8351 -0.3283 -0.7754 1.0725 -0.3470 1.2990 0.077
H -0.0229 -1.5262 -1.0218 0.4767 -0.1984 0.2585 0.026
H -0.5061 -2.7471 1.0279 -0.0960 -0.2178 -0.1536 -0.005
H -0.5910 -2.4740 2.4813 -0.1481 -1.6002 -0.8661 0.061
H -3.2322 -0.2968 3.6120 1.9153 1.8147 -1.1956 0.122
H -2.2098 0.6770 4.1475 0.4699 0.3948 0.5059 0.034
H -1.3093 2.1031 1.1228 -0.1047 0.2883 0.0108 0.020
H -2.6179 1.7308 1.9882 2.0158 -0.8330 -1.9748 0.069
H -0.5336 -2.5127 -3.1609 2.2398 2.3082 1.8605 -0.046
H -1.8320 -2.5120 -3.9246 1.1296 -0.8444 0.4197 0.072
H 1.2335 2.3329 -1.8639 0.2586 0.0326 0.3479 0.015
H 0.8866 2.1950 -3.3423 0.0879 -0.1393 0.1947 0.038
H 4.0948 2.3988 -0.2869 -0.3739 -0.1364 -0.3601 0.056
H 3.4212 1.4176 -1.2441 0.2597 -1.3593 -1.0768 0.007
H 2.4625 -0.2086 0.5135 -0.1875 0.1055 -0.2892 0.059
H 1.5293 0.7125 1.1657 -1.1234 0.2497 1.3052 0.019
O -0.1193 -0.8645 -0.3237 -1.9257 0.0950 -1.5326 -0.073
O -0.6234 -3.2532 1.8462 0.1963 1.9920 1.0112 -0.095
O -2.5138 0.3855 3.2913 -2.8207 -2.8398 1.9554 -0.104
O -1.9651 1.4168 1.2601 -1.4248 1.1386 0.6441 -0.123
O -1.0640 -3.0695 -3.6344 -3.3574 -1.4499 -2.3412 -0.027
O 1.1269 1.6815 -2.5592 -0.3184 -0.0340 -0.6075 -0.062
O 3.2445 2.1277 -0.6700 1.3483 3.2051 0.4153 -0.074
O 1.9764 0.6135 0.3508 0.4102 -1.6248 0.1693 -0.064


34
Properties=species:S:1:pos:R:3:forces:R:3:lowdin_charge:R:1 method="wB97M-V/def2-TZVPD" energy_ev=-25018.964 homo_lumo_gap_ev=9.35
C 3.5379 -1.3874 -1.2999 -0.7986 -1.0878 -0.6987 -0.005
C 2.9885 -0.0915 -1.3267 -0.0037 -4.0881 0.0932 0.008
C 1.4259 -2.3300 -1.9383 1.6493 -1.6260 -1.2683 -0.124
C 2.7644 -2.5203 -1.6436 0.9192 -0.9369 1.4802 -0.233
C 1.6331 -0.1522 -1.4359 -1.5053 2.9216 -0.7443 -0.378
C 0.2790 0.9963 0.3487 -2.9365 2.3206 -3.9296 -0.109
C 0.8005 1.0826 -1.1655 0.3532 -0.0070 1.6479 -0.395
C -1.2750 1.4767 0.2277 0.6454 -4.4887 0.0589 -0.299
C 3.3714 -3.9833 -1.6346 3.4459 3.2886 -1.0238 -0.047
C -1.4072 0.8831 2.6840 0.9149 1.0148 2.0914 -0.109
C -3.4628 1.4362 1.4196 -1.8370 1.6194 -1.4102 -0.098
C -2.1006 0.8193 1.3680 -0.2807 0.2049 -0.7807 -0.467
N 0.8901 -1.1531 -1.8610 -1.1656 -0.2677 0.6025 0.076
N -1.8684 0.9868 -1.1234 -0.2879 -0.1952 2.3921 -0.289
P -0.6954 1.0738 -2.3194 0.5666 1.4864 -0.2932 0.865
H 4.5113 -1.7151 -1.0438 1.3509 0.7320 0.1378 0.095
H 3.4849 0.8116 -1.2991 1.1565 1.5898 0.5692 0.091